=====
1.
ORCA calculation (ωB97M-V/def2-TZVPD) on a molecular structure, C24H26N2O2OsS2 in a non-equilibrium geometry.

- Multiplicity: 5
- E: -56516.895 eV
- Frontier orbital gap (spin up / spin down): 5.63 / 6.27 eV
- Energy above the lowest of the compared OMol25 structures with the same formula, charge and spin: 0.0 kcal/mol
- Strongest force on any atom: 3.8 eV/Å

Geometry (Å):
1 Os -0.148 1.033 0.153
2 C 0.634 -0.212 2.926
3 N 0.041 -0.587 1.583
4 C 0.827 -1.661 1.006
5 C 2.171 -1.026 0.569
6 N 1.965 0.381 0.095
7 C 2.187 0.263 -1.424
8 C 2.932 1.423 0.472
9 C 4.287 1.120 0.445
10 C 5.228 1.993 0.965
11 C 4.808 3.181 1.544
12 C 3.460 3.487 1.585
13 C 2.490 2.628 1.053
14 S 0.827 3.202 1.003
15 C -1.398 -0.882 1.961
16 C -1.629 -2.089 2.603
17 C -2.910 -2.547 2.878
18 C -3.993 -1.778 2.503
19 C -3.781 -0.565 1.865
20 C -2.510 -0.079 1.581
21 S -2.452 1.521 0.753
22 H 0.677 -1.111 3.544
23 H 0.057 0.555 3.415
24 H 1.659 0.142 2.790
25 H 0.295 -1.998 0.111
26 H 1.005 -2.519 1.655
27 H 2.649 -1.656 -0.177
28 H 2.841 -0.984 1.430
29 H 3.196 -0.107 -1.612
30 H 2.038 1.228 -1.891
31 H 1.471 -0.448 -1.838
32 H 4.624 0.188 0.007
33 H 6.279 1.737 0.926
34 H 5.529 3.868 1.966
35 H 3.127 4.410 2.041
36 H -0.789 -2.703 2.902
37 H -3.049 -3.498 3.374
38 H -5.003 -2.117 2.695
39 H -4.629 0.034 1.557
40 C -0.756 1.775 -4.087
41 C -0.921 1.043 -2.788
42 O -0.210 1.560 -1.793
43 C -1.760 -0.100 -2.698
44 C -1.968 -0.836 -1.503
45 C -2.787 -1.942 -1.448
46 C -3.449 -2.387 -2.590
47 C -3.269 -1.687 -3.783
48 C -2.454 -0.576 -3.845
49 H -0.073 2.609 -3.935
50 H -1.706 2.176 -4.451
51 H -0.343 1.130 -4.868
52 H -1.475 -0.489 -0.588
53 H -2.920 -2.461 -0.505
54 H -4.094 -3.255 -2.552
55 H -3.780 -2.017 -4.679
56 H -2.347 -0.062 -4.790
57 O -0.701 1.691 1.886

2.
ORCA calculation (ωB97M-V/def2-TZVPD) on C6H12O in the gas phase.

- E: -8462.777 eV
- Frontier orbital gap: 10.22 eV
- SMILES string: CCO[C@H]1C[C@H]1C
- Energy above the lowest of the compared OMol25 structures with the same formula, charge and spin: 36.4 kcal/mol
- Strongest force on any atom: 0.3 eV/Å

Geometry (Å):
1 C -1.361 -2.358 -0.117
2 C -1.731 -0.885 -0.039
3 O -0.637 -0.066 -0.414
4 C -0.154 0.812 0.552
5 C 1.171 0.542 1.214
6 C 1.042 1.610 0.150
7 C 1.634 1.394 -1.224
8 H -0.687 -2.644 0.696
9 H -0.861 -2.562 -1.068
10 H -2.260 -2.982 -0.060
11 H -2.080 -0.626 0.970
12 H -2.551 -0.669 -0.737
13 H -0.930 1.306 1.141
14 H 1.684 -0.373 0.929
15 H 1.316 0.846 2.248
16 H 1.063 2.641 0.501
17 H 1.085 1.971 -1.977
18 H 2.685 1.702 -1.255
19 H 1.571 0.341 -1.510

3.
ORCA calculation (ωB97M-V/def2-TZVPD) on 2 unconnected molecules or ions with the total composition C3H7NO2S in a non-equilibrium geometry.

- E: -19642.245 eV
- Frontier orbital gap: 9.02 eV
- SMILES string: O/C=C(/O)S.C=N
- Energy above the lowest of the compared OMol25 structures with the same formula, charge and spin: 77.5 kcal/mol
- Strongest force on any atom: 4.2 eV/Å

Geometry (Å):
1 O -0.497 -0.373 -1.891
2 C 0.751 -0.609 -1.423
3 C 0.925 -1.160 -0.200
4 O 2.154 -1.227 0.364
5 S -0.373 -1.956 0.792
6 H -1.188 -0.790 -1.278
7 H 1.626 -0.253 -1.911
8 H 2.218 -1.981 0.862
9 H -0.597 -0.937 1.532
10 C -1.078 1.827 0.241
11 N -0.815 1.454 1.401
12 H -1.096 2.774 -0.065
13 H -1.322 1.070 -0.444
14 H -0.708 2.159 2.019

4.
ORCA calculation (ωB97M-V/def2-TZVPD) on a molecular structure, C25H29BiBr3N5O3S.

- E: -266777.749 eV
- Frontier orbital gap: 5.51 eV
- Energy above the lowest of the compared OMol25 structures with the same formula, charge and spin: 71.5 kcal/mol
- Net charge: +2
- Strongest force on any atom: 0.2 eV/Å

Geometry (Å):
1 Bi 0.120 -0.289 -0.230
2 C 1.800 1.196 -2.685
3 C 0.964 0.396 -3.665
4 N 0.477 -0.874 -3.091
5 C 1.030 -2.086 -3.665
6 C 2.387 -2.444 -3.130
7 S 2.538 -0.104 0.512
8 C 2.978 1.608 0.051
9 C 1.831 2.402 -0.561
10 N 1.031 1.574 -1.487
11 H 2.180 2.095 -3.180
12 H 2.660 0.615 -2.345
13 H 1.550 0.214 -4.570
14 H 0.097 0.989 -3.960
15 H -0.534 -0.889 -3.155
16 H 1.180 -2.012 -4.756
=====
It remains to print all of the contents above without additions.
1.
ORCA calculation (ωB97M-V/def2-TZVPD) on a molecular structure, C24H26N2O2OsS2 in a non-equilibrium geometry.

- Multiplicity: 5
- E: -56516.895 eV
- Frontier orbital gap (spin up / spin down): 5.63 / 6.27 eV
- Energy above the lowest of the compared OMol25 structures with the same formula, charge and spin: 0.0 kcal/mol
- Strongest force on any atom: 3.8 eV/Å

Geometry (Å):
1 Os -0.148 1.033 0.153
2 C 0.634 -0.212 2.926
3 N 0.041 -0.587 1.583
4 C 0.827 -1.661 1.006
5 C 2.171 -1.026 0.569
6 N 1.965 0.381 0.095
7 C 2.187 0.263 -1.424
8 C 2.932 1.423 0.472
9 C 4.287 1.120 0.445
10 C 5.228 1.993 0.965
11 C 4.808 3.181 1.544
12 C 3.460 3.487 1.585
13 C 2.490 2.628 1.053
14 S 0.827 3.202 1.003
15 C -1.398 -0.882 1.961
16 C -1.629 -2.089 2.603
17 C -2.910 -2.547 2.878
18 C -3.993 -1.778 2.503
19 C -3.781 -0.565 1.865
20 C -2.510 -0.079 1.581
21 S -2.452 1.521 0.753
22 H 0.677 -1.111 3.544
23 H 0.057 0.555 3.415
24 H 1.659 0.142 2.790
25 H 0.295 -1.998 0.111
26 H 1.005 -2.519 1.655
27 H 2.649 -1.656 -0.177
28 H 2.841 -0.984 1.430
29 H 3.196 -0.107 -1.612
30 H 2.038 1.228 -1.891
31 H 1.471 -0.448 -1.838
32 H 4.624 0.188 0.007
33 H 6.279 1.737 0.926
34 H 5.529 3.868 1.966
35 H 3.127 4.410 2.041
36 H -0.789 -2.703 2.902
37 H -3.049 -3.498 3.374
38 H -5.003 -2.117 2.695
39 H -4.629 0.034 1.557
40 C -0.756 1.775 -4.087
41 C -0.921 1.043 -2.788
42 O -0.210 1.560 -1.793
43 C -1.760 -0.100 -2.698
44 C -1.968 -0.836 -1.503
45 C -2.787 -1.942 -1.448
46 C -3.449 -2.387 -2.590
47 C -3.269 -1.687 -3.783
48 C -2.454 -0.576 -3.845
49 H -0.073 2.609 -3.935
50 H -1.706 2.176 -4.451
51 H -0.343 1.130 -4.868
52 H -1.475 -0.489 -0.588
53 H -2.920 -2.461 -0.505
54 H -4.094 -3.255 -2.552
55 H -3.780 -2.017 -4.679
56 H -2.347 -0.062 -4.790
57 O -0.701 1.691 1.886

2.
ORCA calculation (ωB97M-V/def2-TZVPD) on C6H12O in the gas phase.

- E: -8462.777 eV
- Frontier orbital gap: 10.22 eV
- SMILES string: CCO[C@H]1C[C@H]1C
- Energy above the lowest of the compared OMol25 structures with the same formula, charge and spin: 36.4 kcal/mol
- Strongest force on any atom: 0.3 eV/Å

Geometry (Å):
1 C -1.361 -2.358 -0.117
2 C -1.731 -0.885 -0.039
3 O -0.637 -0.066 -0.414
4 C -0.154 0.812 0.552
5 C 1.171 0.542 1.214
6 C 1.042 1.610 0.150
7 C 1.634 1.394 -1.224
8 H -0.687 -2.644 0.696
9 H -0.861 -2.562 -1.068
10 H -2.260 -2.982 -0.060
11 H -2.080 -0.626 0.970
12 H -2.551 -0.669 -0.737
13 H -0.930 1.306 1.141
14 H 1.684 -0.373 0.929
15 H 1.316 0.846 2.248
16 H 1.063 2.641 0.501
17 H 1.085 1.971 -1.977
18 H 2.685 1.702 -1.255
19 H 1.571 0.341 -1.510

3.
ORCA calculation (ωB97M-V/def2-TZVPD) on 2 unconnected molecules or ions with the total composition C3H7NO2S in a non-equilibrium geometry.

- E: -19642.245 eV
- Frontier orbital gap: 9.02 eV
- SMILES string: O/C=C(/O)S.C=N
- Energy above the lowest of the compared OMol25 structures with the same formula, charge and spin: 77.5 kcal/mol
- Strongest force on any atom: 4.2 eV/Å

Geometry (Å):
1 O -0.497 -0.373 -1.891
2 C 0.751 -0.609 -1.423
3 C 0.925 -1.160 -0.200
4 O 2.154 -1.227 0.364
5 S -0.373 -1.956 0.792
6 H -1.188 -0.790 -1.278
7 H 1.626 -0.253 -1.911
8 H 2.218 -1.981 0.862
9 H -0.597 -0.937 1.532
10 C -1.078 1.827 0.241
11 N -0.815 1.454 1.401
12 H -1.096 2.774 -0.065
13 H -1.322 1.070 -0.444
14 H -0.708 2.159 2.019

4.
ORCA calculation (ωB97M-V/def2-TZVPD) on a molecular structure, C25H29BiBr3N5O3S.

- E: -266777.749 eV
- Frontier orbital gap: 5.51 eV
- Energy above the lowest of the compared OMol25 structures with the same formula, charge and spin: 71.5 kcal/mol
- Net charge: +2
- Strongest force on any atom: 0.2 eV/Å

Geometry (Å):
1 Bi 0.120 -0.289 -0.230
2 C 1.800 1.196 -2.685
3 C 0.964 0.396 -3.665
4 N 0.477 -0.874 -3.091
5 C 1.030 -2.086 -3.665
6 C 2.387 -2.444 -3.130
7 S 2.538 -0.104 0.512
8 C 2.978 1.608 0.051
9 C 1.831 2.402 -0.561
10 N 1.031 1.574 -1.487
11 H 2.180 2.095 -3.180
12 H 2.660 0.615 -2.345
13 H 1.550 0.214 -4.570
14 H 0.097 0.989 -3.960
15 H -0.534 -0.889 -3.155
16 H 1.180 -2.012 -4.756